Print everything further below character by character.

- - -
# 1
Material: Er2HgRh
Method: DFT, PBE
State: relaxed

Unit cell a=7.079 b=7.079 c=7.079 alpha=90.00 beta=90.00 gamma=90.00
Space group Fm-3m (No. 225)
Unique sites:
Er 0.250 0.250 0.250 [8 per cell]
Hg 0.000 0.000 0.000 [4 per cell]
Rh 0.000 0.000 0.500 [4 per cell]

Energy above the most stable polymorph in this dataset ... 86 meV per atom

---

# 2
Material: GeOsN2O
Method: DFT, PBE
State: relaxed

Unit cell a=3.514 b=3.514 c=5.740 alpha=90.00 beta=90.00 gamma=90.00
Space group P4/mmm (No. 123)
Unique sites:
Ge 0.000 0.000 0.000 [1 per cell]
Os 0.000 0.000 0.500 [1 per cell]
N 0.000 0.500 0.000 [2 per cell]
O 0.500 0.500 0.500 [1 per cell]

Raw formation energy ... 1.97 eV/atom

---

# 3
Material: Mg3Sc4In2
Method: DFT, PBE
State: relaxed

Unit cell a=5.0010 b=5.0010 c=9.5539 alpha=90.00 beta=90.00 gamma=120.00
Space group P-3m1 (No. 164)
Unique sites:
Mg 0.0000 0.0000 0.0000 [1 per cell]
Mg 0.3333 0.6667 0.4776 [2 per cell]
Sc 0.0000 0.0000 0.3268 [2 per cell]
Sc 0.3333 0.6667 0.1269 [2 per cell]
In 0.3333 0.6667 0.8019 [2 per cell]

Electronic total energy ... -4.18 eV/atom

---

Calculated N(E_F) in order - 0.57, 0.52, 0.73 states/eV/atom
- - -

# 1
Material: Er2HgRh
Method: DFT, PBE
State: relaxed

Unit cell a=7.079 b=7.079 c=7.079 alpha=90.00 beta=90.00 gamma=90.00
Space group Fm-3m (No. 225)
Unique sites:
Er 0.250 0.250 0.250 [8 per cell]
Hg 0.000 0.000 0.000 [4 per cell]
Rh 0.000 0.000 0.500 [4 per cell]

Energy above the most stable polymorph in this dataset ... 86 meV per atom

---

# 2
Material: GeOsN2O
Method: DFT, PBE
State: relaxed

Unit cell a=3.514 b=3.514 c=5.740 alpha=90.00 beta=90.00 gamma=90.00
Space group P4/mmm (No. 123)
Unique sites:
Ge 0.000 0.000 0.000 [1 per cell]
Os 0.000 0.000 0.500 [1 per cell]
N 0.000 0.500 0.000 [2 per cell]
O 0.500 0.500 0.500 [1 per cell]

Raw formation energy ... 1.97 eV/atom

---

# 3
Material: Mg3Sc4In2
Method: DFT, PBE
State: relaxed

Unit cell a=5.0010 b=5.0010 c=9.5539 alpha=90.00 beta=90.00 gamma=120.00
Space group P-3m1 (No. 164)
Unique sites:
Mg 0.0000 0.0000 0.0000 [1 per cell]
Mg 0.3333 0.6667 0.4776 [2 per cell]
Sc 0.0000 0.0000 0.3268 [2 per cell]
Sc 0.3333 0.6667 0.1269 [2 per cell]
In 0.3333 0.6667 0.8019 [2 per cell]

Electronic total energy ... -4.18 eV/atom

---

Calculated N(E_F) in order - 0.57, 0.52, 0.73 states/eV/atom